Wanted.
It remains to find "1.286 7.175" and "-2.394" in the contents further down, and copy these two lines and those between.

Input.
-- begin --
Density functional theory data (ωB97M-V/def2-TZVPD) for a 10-piece molecular cluster, C63H70F30N14O21S10 overall.

As for the highest occupied orbital energy: -0.54931 hartree. As for the LUMO energy: -8.55 eV. For the energy above the lowest of the compared OMol25 structures with the same formula, charge and spin, the calculation gives 0.000 eV.

The geometry in ORCA input format:
```
! wB97M-V def2-TZVPD RIJCOSX def2/J DEFGRID3
* xyz 4 1
C 1.022 -8.262 -5.077
N 0.624 -7.610 -3.827
C -0.622 -7.102 -3.587
C -0.944 -6.404 -2.419
C -0.010 -6.433 -1.400
C 1.294 -6.948 -1.596
C 1.482 -7.600 -2.828
C -0.481 -6.006 -0.048
C 0.414 -5.490 0.902
C 0.033 -5.323 2.246
N -1.241 -5.526 2.654
C -2.177 -5.940 1.739
C -1.795 -6.186 0.398
C -1.517 -5.254 4.055
H 2.044 -7.943 -5.281
H 0.549 -7.745 -5.911
H 0.818 -9.333 -5.047
H -1.253 -7.174 -4.460
H -1.933 -6.031 -2.200
H 1.946 -7.033 -0.739
H 2.417 -8.101 -3.028
H 1.469 -5.296 0.774
H 0.728 -4.870 2.938
H -3.162 -6.069 2.162
H -2.433 -6.728 -0.284
H -1.674 -4.177 4.116
H -0.628 -5.431 4.661
H -2.310 -5.929 4.377
C 5.353 1.438 6.172
N 4.743 2.468 5.283
C 5.276 3.760 5.353
C 4.609 4.709 4.639
C 3.514 4.430 3.850
C 3.014 3.139 3.830
C 3.644 2.118 4.600
C 2.922 5.435 3.037
C 1.945 6.225 3.612
C 1.286 7.175 2.885
N 1.519 7.294 1.583
C 2.445 6.605 0.916
C 3.244 5.680 1.644
C 0.860 8.372 0.777
H 4.832 1.616 7.112
H 6.401 1.673 6.360
H 5.199 0.457 5.722
H 6.181 3.991 5.895
H 4.904 5.747 4.592
H 2.148 2.979 3.205
H 3.222 1.125 4.649
H 1.687 6.108 4.654
H 0.545 7.860 3.270
H 2.493 6.642 -0.162
H 3.944 4.985 1.205
H -0.043 8.618 1.335
H 0.619 7.982 -0.211
H 1.523 9.237 0.764
C 8.961 -1.339 -1.882
N 7.667 -1.106 -2.438
C 6.502 -1.171 -1.692
C 5.207 -1.050 -2.266
C 5.198 -0.685 -3.631
C 6.388 -0.689 -4.399
C 7.577 -0.915 -3.815
C 3.921 -0.280 -4.280
C 2.720 -0.970 -4.103
C 1.534 -0.476 -4.679
N 1.544 0.616 -5.517
C 2.636 1.316 -5.670
C 3.877 0.811 -5.165
C 0.293 1.112 -6.169
H 8.938 -1.713 -0.858
H 9.544 -0.428 -2.014
H 9.496 -2.068 -2.491
H 6.649 -1.487 -0.670
H 4.346 -1.069 -1.615
H 6.320 -0.374 -5.429
H 8.480 -0.870 -4.406
H 2.764 -1.746 -3.353
H 0.560 -0.875 -4.434
H 2.402 2.141 -6.326
H 4.748 1.348 -5.511
H -0.506 0.473 -5.793
H 0.424 0.957 -7.240
H 0.129 2.150 -5.879
C -4.772 3.142 -1.636
N -5.390 2.976 -0.301
C -5.865 1.731 -0.054
C -6.325 1.476 1.230
C -6.248 2.432 2.270
C -5.719 3.674 1.972
C -5.313 3.969 0.645
C -6.762 2.120 3.632
C -7.637 2.927 4.371
C -8.151 2.518 5.580
N -7.887 1.271 6.052
C -6.982 0.464 5.340
C -6.443 0.849 4.135
C -8.355 0.866 7.399
H -5.473 2.800 -2.397
H -3.871 2.538 -1.533
H -4.472 4.186 -1.720
H -5.792 0.987 -0.833
H -6.699 0.490 1.462
H -5.727 4.434 2.740
H -4.868 4.896 0.315
H -7.937 3.916 4.060
H -8.761 3.167 6.190
H -6.660 -0.388 5.920
H -5.646 0.223 3.761
H -9.223 1.420 7.755
H -7.568 1.144 8.099
H -8.529 -0.204 7.519
C -0.120 0.629 -2.034
N -0.279 0.710 -0.494
C 0.875 1.577 0.106
C -1.590 1.411 -0.151
C -0.216 -0.734 0.190
C 0.779 -1.714 -0.451
O 2.093 -1.195 -0.723
H -0.418 1.595 -2.442
H -0.855 -0.049 -2.468
H 0.896 0.334 -2.296
H 0.527 1.642 1.137
H 1.040 2.458 -0.514
H 1.830 1.061 0.006
H -1.561 1.595 0.922
H -2.429 0.773 -0.431
H -1.545 2.309 -0.767
H -1.261 -1.029 0.093
H -0.087 -0.779 1.272
H 0.316 -2.203 -1.307
H 0.921 -2.482 0.310
H 2.649 -1.942 -0.489
C 4.750 2.908 -0.584
F 5.443 4.029 -0.488
F 5.571 1.868 -0.633
F 3.867 2.649 0.423
S 3.665 2.979 -2.273
O 4.712 3.180 -3.269
O 2.841 1.777 -2.240
N 2.763 4.384 -2.032
S 1.604 4.286 -3.065
O 1.884 3.746 -4.362
O 0.408 3.748 -2.394
C 1.179 6.191 -3.312
F 2.373 6.814 -3.606
F 0.306 6.277 -4.320
F 0.638 6.684 -2.142
C 4.220 -1.249 2.088
F 4.487 -1.123 3.346
F 3.239 -0.375 1.752
F 5.295 -0.882 1.384
S 3.769 -3.117 1.739
O 4.844 -3.919 2.299
O 2.493 -3.334 2.408
N 3.580 -3.117 0.009
S 4.329 -4.400 -0.340
O 5.758 -4.178 -0.185
O 3.755 -5.634 0.203
C 3.998 -4.591 -2.235
F 2.678 -4.400 -2.464
F 4.669 -3.659 -2.878
F 4.418 -5.759 -2.665
C -3.490 0.887 -5.401
F -2.983 0.455 -6.555
F -2.657 1.821 -4.994
-- stop --

Written answer.
C 1.286 7.175 2.885
N 1.519 7.294 1.583
C 2.445 6.605 0.916
C 3.244 5.680 1.644
C 0.860 8.372 0.777
H 4.832 1.616 7.112
H 6.401 1.673 6.360
H 5.199 0.457 5.722
H 6.181 3.991 5.895
H 4.904 5.747 4.592
H 2.148 2.979 3.205
H 3.222 1.125 4.649
H 1.687 6.108 4.654
H 0.545 7.860 3.270
H 2.493 6.642 -0.162
H 3.944 4.985 1.205
H -0.043 8.618 1.335
H 0.619 7.982 -0.211
H 1.523 9.237 0.764
C 8.961 -1.339 -1.882
N 7.667 -1.106 -2.438
C 6.502 -1.171 -1.692
C 5.207 -1.050 -2.266
C 5.198 -0.685 -3.631
C 6.388 -0.689 -4.399
C 7.577 -0.915 -3.815
C 3.921 -0.280 -4.280
C 2.720 -0.970 -4.103
C 1.534 -0.476 -4.679
N 1.544 0.616 -5.517
C 2.636 1.316 -5.670
C 3.877 0.811 -5.165
C 0.293 1.112 -6.169
H 8.938 -1.713 -0.858
H 9.544 -0.428 -2.014
H 9.496 -2.068 -2.491
H 6.649 -1.487 -0.670
H 4.346 -1.069 -1.615
H 6.320 -0.374 -5.429
H 8.480 -0.870 -4.406
H 2.764 -1.746 -3.353
H 0.560 -0.875 -4.434
H 2.402 2.141 -6.326
H 4.748 1.348 -5.511
H -0.506 0.473 -5.793
H 0.424 0.957 -7.240
H 0.129 2.150 -5.879
C -4.772 3.142 -1.636
N -5.390 2.976 -0.301
C -5.865 1.731 -0.054
C -6.325 1.476 1.230
C -6.248 2.432 2.270
C -5.719 3.674 1.972
C -5.313 3.969 0.645
C -6.762 2.120 3.632
C -7.637 2.927 4.371
C -8.151 2.518 5.580
N -7.887 1.271 6.052
C -6.982 0.464 5.340
C -6.443 0.849 4.135
C -8.355 0.866 7.399
H -5.473 2.800 -2.397
H -3.871 2.538 -1.533
H -4.472 4.186 -1.720
H -5.792 0.987 -0.833
H -6.699 0.490 1.462
H -5.727 4.434 2.740
H -4.868 4.896 0.315
H -7.937 3.916 4.060
H -8.761 3.167 6.190
H -6.660 -0.388 5.920
H -5.646 0.223 3.761
H -9.223 1.420 7.755
H -7.568 1.144 8.099
H -8.529 -0.204 7.519
C -0.120 0.629 -2.034
N -0.279 0.710 -0.494
C 0.875 1.577 0.106
C -1.590 1.411 -0.151
C -0.216 -0.734 0.190
C 0.779 -1.714 -0.451
O 2.093 -1.195 -0.723
H -0.418 1.595 -2.442
H -0.855 -0.049 -2.468
H 0.896 0.334 -2.296
H 0.527 1.642 1.137
H 1.040 2.458 -0.514
H 1.830 1.061 0.006
H -1.561 1.595 0.922
H -2.429 0.773 -0.431
H -1.545 2.309 -0.767
H -1.261 -1.029 0.093
H -0.087 -0.779 1.272
H 0.316 -2.203 -1.307
H 0.921 -2.482 0.310
H 2.649 -1.942 -0.489
C 4.750 2.908 -0.584
F 5.443 4.029 -0.488
F 5.571 1.868 -0.633
F 3.867 2.649 0.423
S 3.665 2.979 -2.273
O 4.712 3.180 -3.269
O 2.841 1.777 -2.240
N 2.763 4.384 -2.032
S 1.604 4.286 -3.065
O 1.884 3.746 -4.362
O 0.408 3.748 -2.394